Quirónsalud joins the Movember initiative to raise awareness about prostate cancer, testicular cancer and mental health in men
November is Men’s Health Month. This initiative, promoted by Movember, aims to address men’s health issues, such as prostate cancer, testicular cancer, mental health and suicide prevention.
The movement began in Australia in 2003, when a group of friends decided to grow their moustaches in the month of November as a way to raise funds and awareness about prostate cancer and testicular cancer.
What started as a local initiative has grown into a global phenomenon that has raised millions of dollars for charities and inspired men around the world to get involved.
The reality is that men die, on average, 4.5 years earlier than women, from causes that are primarily preventable. For this reason, Quirónsalud has joined this movement, with the aim of focusing on the importance of prevention. Drs. Alejandro Pascual and Alexandr Zhiganov and Dr. Amparo Míguez, have provided fundamental information on prevention and check-ups of men’s health.
Dr. Zhiganov, specialist in general medicine and coordinator of check-ups at Quirónsalud Torrevieja, stresses the importance of medical check-ups at different stages of life.
According to World Health Organisation (WHO) guidelines, the frequency of checkups varies depending on age and individual risk factors.
Dr. Zhiganov explains that, generally speaking, it is recommended to have a check-up every four years before the age of 40, then every two years until the age of 60, and finally, one year after this age.
However, it indicates that the individual situation of each person (tobacco use, alcohol, etc.), as well as a family history of hereditary diseases, can influence the frequency of check-ups.
What does a medical check-up consist of?
The medical check-up is a process that consists of several stages, such as a personal interview with the doctor to learn about the medical history and current lifestyle habits, and a general examination to assess the state of health and detect possible pathologies or risk situations.
When to see a urologist?
For her part, Dr. Amparo Míguez, urologist at Quirónsalud Torrevieja, stresses that prevention is the best medicine “all men should have urological check-ups once a year when they pass the threshold of 45 or 50 years (if they do not have hereditary risk factors), because at this age some pathologies related to the natural aging process begin to develop”.
According to the expert, these check-ups are key to early diagnosis and treatment of serious problems, some of which are asymptomatic until they are already in an advanced stage, such as prostate cancer.
The specialist in urology at Quirónsalud Torrevieja indicates that “you must go to the urologist in the event of any symptoms, pain or discomfort in the genito-urinary area, changes in the organolectic characteristics (smell, colour, appearance ,…) of urine, or suspicion of some genital expansive process that is developing and that could have been discovered/identified in the self-examination.”
The doctor explains that the main urological problems in young people between 18-20 years old can arise from their adolescence and are related to the beginning of sexual life. More broadly, between the ages of 18 and 30, “it is common for the urologist to treat urinary tract infections, kidney stones, sexually transmitted diseases/infections (STDs/STIs) and, in some cases of men, erectile dysfunction (ED) issues.”
In addition, Míguez specifies that “testicular cancer develops at an early age, so young people must be alerted to go to the urologist if any abnormality is discovered in the testicles”. Testicular cancer is the second most common cancer among young men worldwide.
However, the specialist stresses that men go to the urologist for the first time between the ages of 45 and 50 for their general check-up if they do not have any symptoms. “They especially come if certain lower urinary tract (LUTS) symptoms have begun to appear, for example, getting up at night to urinate (nocturia) or that the urine stream has less strength and calibre. But among the most serious are prostate diseases, especially prostate cancer.”
How is prostate cancer diagnosed?
There are two common tests for initial detection and, depending on the result of these tests, a biopsy will be performed.
For the diagnosis, PSA will be performed, a blood test that looks for the presence in the blood of a protein specifically produced by prostate cells. “It is the prostate marker, it is not specific for cancer, but it allows its levels to be monitored throughout the adult life of the male. If it rises, it’s an indicator that further investigation is needed.” Even so, according to the specialist, the digital rectal exam is still an important tool in the physical examination to complete the diagnosis.
Urological check-ups over 60 years old
At this stage of life, the most common problems are usually related to lower urinary tract symptoms due to prostatic obstruction and erectile dysfunction.
The urologist also points out Benign Prostatic Hyperplasia (BPH), “a non-cancerous enlargement of the prostate, which becomes more prevalent after the age of 60.” Prostate cancer, on the other hand, “is a cancer that affects men from the age of 50 and is uncommon in the 40s, being almost non-existent before,” the doctor points out.
Cardiology check-ups
== Here the text breaks off for calculated molecules ==
~~~
Entry 1:
The following is a DFT calculation (ωB97M-V/def2-TZVPD) of 2 unconnected molecules or ions with the total composition C12H26FO3S2 in a non-equilibrium geometry.

Values from the calculation:
Maximum force, hartree/bohr: 0.0221
LUMO level, eV: -4.48
Total charge: +1
Highest occupied orbital energy, Eh: -0.4038

Each line ends with the natural charge from an NBO analysis.
Positions of all 44 atoms, in Å:
C  0.94352  -0.97465  3.60775  -0.649
C  0.21689  -0.82274  2.28927  0.071
C  0.28409  -2.00025  1.33587  -0.662
C  -0.41339  0.32747  2.00367  -0.254
C  -1.74342  0.49534  1.31506  -0.450
C  -1.79828  1.48861  0.13881  -0.389
C  -1.65653  0.89545  -1.27203  -0.214
C  -2.66298  -0.22541  -1.52081  -0.613
C  -0.25333  0.40997  -1.64490  -0.424
C  0.80164  1.51231  -1.71591  -0.524
S  1.52248  1.86263  -0.08387  0.609
C  1.50371  3.66628  0.11490  -0.741
S  3.58880  1.32761  -0.24372  2.277
O  3.97387  1.35055  -1.60022  -0.834
O  3.73525  0.20272  0.58483  -0.817
F  4.17909  2.56099  0.48080  -0.444
H  1.69814  -0.19466  3.74670  0.218
H  1.46974  -1.92699  3.65830  0.217
H  0.22837  -0.95036  4.42625  0.233
H  -0.67067  -2.21433  0.85671  0.247
H  0.97479  -1.69772  0.54253  0.200
H  0.68909  -2.88329  1.82111  0.226
H  0.05236  1.24421  2.37403  0.170
H  -2.40236  0.88910  2.09297  0.232
H  -2.13319  -0.48395  1.04461  0.224
H  -1.09804  2.31983  0.30727  0.162
H  -2.78531  1.95847  0.14877  0.229
H  -1.91725  1.70097  -1.97112  0.201
H  -3.67449  0.09515  -1.27568  0.228
H  -2.42313  -1.10302  -0.92146  0.218
H  -2.62301  -0.53634  -2.56627  0.214
H  -0.30293  -0.00692  -2.65394  0.243
H  0.05874  -0.40534  -0.98703  0.237
H  0.35597  2.44505  -2.06443  0.255
H  1.62253  1.26119  -2.38894  0.283
H  1.10807  3.87876  1.10358  0.276
H  0.82371  4.06474  -0.63488  0.264
H  2.49222  4.08193  -0.04562  0.276
C  -0.30194  -4.10244  -1.77466  -0.250
O  -1.36327  -3.44909  -1.07987  -0.734
H  0.46440  -4.34520  -1.04279  0.188
H  -0.64732  -5.02516  -2.24350  0.180
H  0.13104  -3.45162  -2.54007  0.156
H  -2.04769  -3.23985  -1.72205  0.467

Force components x, y, z for each atom (eV/Å):
0.9 0.1 -0.6
0.1 -0.2 0.0
-0.7 0.4 0.4
0.2 -0.1 -0.2
0.7 0.3 -0.4
-0.5 -0.3 -0.1
0.1 0.2 0.0
0.2 -0.1 0.1
-0.1 -0.1 0.1
0.0 -0.1 -0.4
-0.7 0.2 0.7
-0.1 0.1 -0.4
0.4 -0.4 -0.5
0.0 0.3 -0.1
-0.1 0.0 0.3
0.0 0.0 0.0
-0.1 0.1 0.2
0.0 0.0 0.0
0.0 0.1 0.0
0.1 -0.2 0.0
0.1 -0.2 0.0
-0.2 -0.1 -0.1
-0.6 0.0 0.9
-0.1 -0.1 0.0
-0.1 0.0 -0.1
0.1 0.0 0.0
0.0 0.1 0.0
0.1 0.0 0.0
0.0 0.0 -0.1
0.0 0.0 0.0
-0.1 0.1 0.0
0.1 -0.1 0.0
0.1 0.0 0.0
0.1 0.1 0.1
0.1 0.0 0.1
0.2 -0.1 0.1
0.0 -0.1 0.0
0.0 0.0 0.1
-0.1 0.1 0.0
0.1 0.1 -0.1
0.0 0.0 0.0
0.1 0.0 0.0
0.0 0.0 0.0
-0.1 -0.1 0.0



Entry 2:
The following is a DFT calculation (ωB97M-V/def2-TZVPD) of 3 unconnected molecules or ions with the total composition C12H26N5O3Si in a non-equilibrium geometry.

Values from the calculation:
Maximum force, hartree/bohr: 0.0485
LUMO level, eV: -4.64
Total charge: +1
~~~
A cardiovascular check-up is a medical check-up that consists of determining the state of the heart and circulatory system in order to identify the main causes of coronary risk.
Current recommendations state that men over the age of 45 should have their cardiovascular risk assessed.
Dr. Alejandro Pascual, head of Cardiology at Quirónsalud Alicante, explains that in this review, an assessment should be carried out aimed at looking for cardiological symptoms or cardiovascular disease, as well as a clinical and analytical assessment in search of the presence of cardiovascular risk factors.
All this to prevent cardiovascular diseases such as high blood pressure, dyslipidaemia or diabetes mellitus.
How often should I have a cardiovascular check-up?
According to the expert, we should assess cardiovascular risk every five years, “or sooner if we are at a risk level close to needing treatment for heart disease.”
Prevention, essential to take care of your health
Prevention is fundamental to health care. “Not only does it prevent the emergence and spread of diseases, but it also reduces the need for more expensive treatments and other health care,” says Dr. Zhiganov.